This short tutorial shows you how to create a simple scheduler in OCaml with effects. We'd like to warn the reader that certain choices have been made to suit our purposes: in other words, as opposed to Thatcher, there are alternatives in implementing a scheduler. This tutorial is not absolutist in what it explains.
We therefore advise our readers to take a critical look at what we present.
A scheduler can be seen as a program that attempts to run another program (just as your system attempts to run your software). Thus, there is an interaction between the program to be executed and the scheduler: basically, the creation and awaiting of tasks.
With the advent of effects in OCaml, we now have the ability to "suspend" a function. In other words, we can have a state (which we can manipulate) that corresponds to a function that has not yet finished. When it comes to implementing a scheduler, it may be useful to keep this suspension in order to prioritize the execution of other suspended functions.
In other words, we schedule the execution of these functions.
The simplest explanation of what an effect is, based on known OCaml elements, is the exception. The exception, in OCaml, allows you to break the execution flow and "fall" into an exception handler.
exception World
let my_function () =
print_endline "Hello";
raise World
let my_program () =
try my_function ()
with World ->
print_endline "World"
So there are 3 elements to identify:
)try ... with ...
)Effects do the same thing. An effects handler exists, and if the user "performs" an effect, the execution flow is broken in order to "fall" into the handler.
open Effect.Deep
type _ Effect.t += World : unit Effect.t
let handler =
let retc x = x
and exnc = raise
and effc
: type c. c Effect.t -> ((c, 'a) continuation -> 'a) option
= function
| World ->
print_endline "World";
Some (fun k -> continue k ())
| _ -> None in
{ retc; exnc; effc; }
let my_function () =
print_endline "Hello";
Effect.perform World
let my_program () =
match_with my_function () handler
It does, however, add an extra element to the effects. As far as exceptions are concerned, we can't go back to the place where the exception was raised. For effects, on the other hand, we are given a "continuation" (our k
value) which allows us to continue immediately after the effect has been raised.
For the example, this code would have no equivalence with exceptions, as we want to continue.
open Effect.Deep
type _ Effect.t += Hello : unit Effect.t
let handler =
let retc x = x
and exnc = raise
and effc
: type c. c Effect.t -> ((c, 'a) continuation -> 'a) option
= function
| Hello ->
print_endline "Hello";
Some (fun k -> continue k ())
| _ -> None in
{ retc; exnc; effc; }
let my_function () =
Effect.perform Hello;
print_endline "World"
let my_program () =
match_with my_function () handler
The most important thing to understand in terms of effects is suspension. After an effect has been performed, OCaml gives us a value that corresponds to a suspended state of the function that performed the effect.
From this value, we can:
But what can become interesting in the context of a scheduler is to keep this suspension! We could consider that the effect should produce a result, but that this result is not yet available. In this case, it would be:
There's one final detail to note about the effects. The existence of 2 modules: Deep & Shallow. At this stage, and with the aim of implementing a simple scheduler, the choice of one or the other is not very interesting. However, we must clarify the difference.
The difference lies in how the handler is installed. In the case of Shallow, installation allows you to manage a single effect. Once you've managed it, you'll need to re-install a handler. In a way, this constraint "forces" you not to continue directly with a suspension (which could launch a new effect!) but to have an intermediate suspension handling step in which you could (and should) re-install a handler.
In Deep's case, a single installation is sufficient. The function could launch several effects, but these would always be overtaken by the initially installed handler. This makes it possible to "just continue" for certain "basic" effects, without really worrying about the suspension and how it's continued - you'll still be using the same handler.
For the purposes of this tutorial, we prefer to use Shallow. These constraints allow us to dissociate the suspension from the operation associated with the effect that produced the suspension.
As we mentioned earlier, a task (which our scheduler should handle) is the smallest sequence of programmed instructions: it's an OCaml function.
Now we need to define a state for this function:
type 'a t =
| Launch : (unit -> 'a) -> 'a t
| Finished of 'a
| Suspended : ('a, 'b) Effect.Shallow.continuation * 'a Effect.t -> 'b t
Now we need to describe our effect handler, which should produce this state. It's actually quite simple, as it only involves producing the final state (the function has terminated) or the suspended state. The Launch
state will be created by a "spawn" function.
let handler =
let open Effect.Shallow in
let retc v = Finished v in
let exnc = raise in
let effc
: type c. c Effect.t -> ((c, 'a) Effect.Shallow.continuation -> 'b) option
= fun effect -> Some (fun k -> Suspended (k, effect)) in
{ Effect.Shallow.retc; exnc; effc }
All we have to do is install this handler systematically each time we want to continue with our task. Note that ALL effects are suspended. The aim is to differentiate the suspension mechanism from the handling of the effect and its associated operation.
We still need to define a few last elements for our scheduler so that the user can interact with it:
Finally, a last type allows us to manipulate tasks independently of the type of their results.
type _ Effect.t += Spawn : (unit -> 'a) -> 'a promise Effect.t
and 'a promise = 'a option ref
and _ Effect.t += Await : 'a promise -> 'a Effect.t
and elt = Elt : 'a t -> task
The promise is a cell that can be updated once the task has been completed. The wait will then consist of observing this value and returning the result if available.
All that remains is to implement the operations associated with our effects and to implement our main loop, which will consist of trying to do all our tasks until there are none left.
This gives us a to-do list that we can complete with Spawn
. Adding a task will consist of:
Finally, Await
will simply observe the promise, and if it hasn't yet been fulfilled, it will give the other tasks another chance (yield) to run so that, perhaps, we can resolve the promise later.
let perform
: type c. elt list ref -> c Effect.t -> [ `Continue of c | `Yield ]
= fun todo -> function
| Spawn fn ->
let value = ref None in
let task = Launch (fun () -> value := Some (fn ())) in
todo := !todo @ [ Task task ] ;
- - -
1.
# K2B4H8O11 | the Materials Project database | PBE | relaxed
# ΔE_f: -2.061 eV per atom
# Total energy after the MP2020 corrections: -6.482 eV per atom
# Energy: -6.18 eV per atom
# Size of the total moment: 0.00 μB per formula unit
data_K2B4H8O11
_chemical_formula_sum 'K8 B16 H32 O44'
_space_group_name_H-M_alt 'P 21 21 21'
_space_group_IT_number 19
_cell_length_a 6.957
_cell_length_b 11.786
_cell_length_c 13.064
_cell_angle_alpha 90.00
_cell_angle_beta 90.00
_cell_angle_gamma 90.00
loop_
_space_group_symop_operation_xyz
'x,y,z'
'-x+1/2,-y,z+1/2'
'x+1/2,-y+1/2,-z'
'-x,y+1/2,-z+1/2'
loop_
_atom_site_label
_atom_site_type_symbol
_atom_site_fract_x
_atom_site_fract_y
_atom_site_fract_z
K1 K 0.031 0.077 0.116
K2 K 0.215 0.347 0.539
B1 B 0.037 0.068 0.845
B2 B 0.100 0.457 0.800
B3 B 0.137 0.664 0.792
B4 B 0.218 0.348 0.118
H1 H 0.023 0.832 0.203
H2 H 0.084 0.159 0.339
H3 H 0.095 0.283 0.816
H4 H 0.099 0.826 0.840
H5 H 0.100 0.336 0.979
H6 H 0.107 0.030 0.356
H7 H 0.214 0.875 0.416
H8 H 0.247 0.846 0.195
O1 O 0.002 0.956 0.791
O2 O 0.012 0.088 0.332
O3 O 0.046 0.160 0.768
O4 O 0.074 0.314 0.052
O5 O 0.127 0.845 0.153
O6 O 0.129 0.588 0.584
O7 O 0.131 0.751 0.871
O8 O 0.136 0.356 0.851
O9 O 0.172 0.554 0.843
O10 O 0.201 0.312 0.218
O11 O 0.214 0.054 0.904

2.
# LiBiO2 | the Materials Project database | PBE | relaxed
# ΔE_f: -1.842 eV per atom
# Total energy after the MP2020 corrections: -5.766 eV per atom
# Energy: -5.42 eV per atom
data_LiBiO2
_chemical_formula_sum 'Li8 Bi8 O16'
_space_group_name_H-M_alt 'C 1 2/c 1'
_space_group_IT_number 15
_cell_length_a 19.185
_cell_length_b 5.237
_cell_length_c 4.979
_cell_angle_alpha 90.00
_cell_angle_beta 104.75
_cell_angle_gamma 90.00
loop_
_space_group_symop_operation_xyz
'x,y,z'
'-x,-y,-z'
'-x,y,-z+1/2'
'x,-y,z+1/2'
'x+1/2,y+1/2,z'
'-x+1/2,-y+1/2,-z'
'-x+1/2,y+1/2,-z+1/2'
'x+1/2,-y+1/2,z+1/2'
loop_
_atom_site_label
_atom_site_type_symbol
_atom_site_fract_x
_atom_site_fract_y
_atom_site_fract_z
Li1 Li 0.250 0.001 0.000
Bi1 Bi 0.091 0.240 0.596
O1 O 0.082 0.169 0.024
O2 O 0.203 0.251 0.703

Copy entry 1 word for word.
# K2B4H8O11 | the Materials Project database | PBE | relaxed
# ΔE_f: -2.061 eV per atom
# Total energy after the MP2020 corrections: -6.482 eV per atom
# Energy: -6.18 eV per atom
# Size of the total moment: 0.00 μB per formula unit
data_K2B4H8O11
_chemical_formula_sum 'K8 B16 H32 O44'
_space_group_name_H-M_alt 'P 21 21 21'
_space_group_IT_number 19
_cell_length_a 6.957
_cell_length_b 11.786
_cell_length_c 13.064
_cell_angle_alpha 90.00
_cell_angle_beta 90.00
_cell_angle_gamma 90.00
loop_
_space_group_symop_operation_xyz
'x,y,z'
'-x+1/2,-y,z+1/2'
'x+1/2,-y+1/2,-z'
'-x,y+1/2,-z+1/2'
loop_
_atom_site_label
_atom_site_type_symbol
_atom_site_fract_x
_atom_site_fract_y
_atom_site_fract_z
K1 K 0.031 0.077 0.116
K2 K 0.215 0.347 0.539
B1 B 0.037 0.068 0.845
B2 B 0.100 0.457 0.800
B3 B 0.137 0.664 0.792
B4 B 0.218 0.348 0.118
H1 H 0.023 0.832 0.203
H2 H 0.084 0.159 0.339
H3 H 0.095 0.283 0.816
- - -
## The text goes on
`Continue value
| Await value ->
begin match !value with
| Some value -> `Continue value
| None -> `Yield end
| _ -> invalid_arg "Invalid effect"
Finally, the main loop will simply do the tasks one after the other, step by step. These steps are defined by the production of effects. In our case, we fall back on one of Miou's rules: effect yield.
let step todo = function
| Launch fn ->
Effect.Shallow.(continue_with (fiber fn) () handler)
| Finished v -> Finished v
| Suspended (k, effect) ->
match perform todo effect with
| `Continue v -> Effect.Shallow.(continue_with k v handler)
| `Yield -> Suspended (k, effect)
let run fn v =
let result = ref None in
let rec go = function
| [] -> Option.get !result
| Task task :: rest ->
let todo = ref rest in
match step todo task with
| Finished _ -> go !todo
| (Launch _ | Suspended _) as task -> go (!todo @ [ Task task ]) in
let task = Launch (fun () -> result := Some (fn v)) in
go [ Task task ]
In the end, all we need to do is propose a nice API for this scheduler, consisting of 3 functions:
let spawn fn = Effect.perform (Spawn fn)
let await prm = Effect.perform (Await prm)
let my_function =
let prm = spawn @@ fun () -> print_endline "Hello" in
print_endline "World";
await prm
let () = run my_function ()
In this small example, it's clear that our first task didn't run directly! It was added to our todo list, but it was only the Await
and its rescheduling that gave our first task the opportunity to run.
Admittedly, this code is quite simple and doesn't really define concepts that are important for a scheduler such as this:
It's basically a short introduction to how to make a scheduler in OCaml with effects, but it's certainly necessary to go further. Well, Miou exists!
Nevertheless, it provides a practical mental model for understanding how Miou can organize these tasks. One particular point, better documented in Miou's introduction, concerns the priority of tasks: could we prioritize the display of "Hello"
in our example? To this question, Miou doesn't prioritize any tasks like this example. We simply "add" suspended tasks to the end of our todo list.